-- Given --
1.
CHBr2NO | ωB97M-V with the def2-TZVPD basis set

Its HOMO-LUMO gap is 10.01 eV. The calculation puts the energy relative to the best compared isomer or geometry (same formula, charge and spin) at 0.00 kcal per mole. Its HOMO energy is -10.2281 eV. Its LUMO energy is -0.0079 Ha. Its max |F| is 3.76 eV/A.

Positions of all 6 atoms, in Å:
O  0.599  -0.366  -1.509
C  -0.021  0.147  -0.672
Br  -1.131  1.778  -1.018
N  0.089  -0.147  0.631
Br  0.890  -1.694  1.099
H  -0.426  0.282  1.469

=====

2.
C10H12NOS | ωB97M-V with the def2-TZVPD basis set

Its HOMO-LUMO gap is 6.71 eV. Its charge is +1. The calculation puts the energy relative to the best compared isomer or geometry (same formula, charge and spin) at 56.02 kcal per mole. Its HOMO energy is -11.6558 eV. Its LUMO energy is -0.1818 Ha. Its max |F| is 5.47 eV/A.

Positions of all 25 atoms, in Å:
C  -3.018  0.378  0.592
C  -0.329  2.303  0.791
C  -2.503  -0.775  1.263
C  0.503  1.174  0.886
C  -2.739  0.095  -0.753
C  -0.252  2.731  -0.509
C  -1.907  -1.552  0.284
C  1.076  0.680  -0.222
C  1.918  -1.236  -1.629
C  1.771  -0.530  -0.325
N  2.247  -1.078  0.740
O  -2.012  -0.981  -0.864
S  0.635  1.674  -1.583
H  -3.252  1.314  0.979
H  -0.874  2.946  1.493
H  -2.400  -0.970  2.280
H  0.597  0.699  1.913
H  -2.685  0.739  -1.710
H  -0.611  3.682  -0.911
H  2.013  -0.480  -2.470
H  1.128  -1.909  -1.789
H  2.885  -1.733  -1.979
H  1.836  -0.716  1.599
H  2.540  -2.062  0.789
H  -1.470  -2.422  0.271

~~~~~

Formula: C31H28BrN5O2V
Source: the OMol25 dataset
Level of theory: ωB97M-V/def2-TZVPD

The energy above the lowest of the compared OMol25 structures with the same formula, charge and spin is 29.9 kJ/mol. The calculation puts the orbital gap (alpha / beta) at 0.306 / 0.315 Eh. The total charge is +1. The HOMO energy (alpha / beta) comes out at -11.3 / -11.3 eV. As for the spin multiplicity: 3.

Geometry as XYZ:
```
68
C31H28BrN5O2V, DFT ωB97M-V/def2-TZVPD
V 1.04 0.40 0.05
C -1.30 -1.03 1.46
C -0.29 -1.19 2.59
C 0.38 0.07 3.06
C 0.48 0.36 4.41
C 1.16 1.48 4.83
C 1.74 2.31 3.88
C 1.59 1.98 2.55
N 0.92 0.89 2.14
N -0.73 -0.91 0.09
C -1.86 -0.67 -0.87
C -2.36 0.74 -1.04
C -3.36 1.28 -0.24
C -3.84 2.55 -0.55
C -3.31 3.21 -1.63
C -2.31 2.59 -2.37
N -1.85 1.37 -2.10
C -0.13 -2.20 -0.35
C 0.65 -1.98 -1.62
C 0.80 -2.96 -2.58
C 1.55 -2.68 -3.71
C 2.14 -1.43 -3.84
C 1.95 -0.50 -2.84
N 1.22 -0.77 -1.75
H -1.89 -0.13 1.63
H -1.98 -1.88 1.47
H 0.49 -1.91 2.33
H -0.82 -1.62 3.44
H 0.02 -0.32 5.13
H 1.25 1.71 5.89
H 2.29 3.20 4.16
H 2.01 2.60 1.77
H -2.68 -1.34 -0.57
H -1.52 -0.98 -1.85
H -3.78 0.71 0.58
H -4.62 3.00 0.05
H -3.65 4.20 -1.91
H -1.87 3.08 -3.23
H -0.92 -2.94 -0.50
H 0.54 -2.58 0.42
H 0.32 -3.92 -2.45
H 1.68 -3.43 -4.48
H 2.73 -1.17 -4.71
H 2.39 0.48 -2.89
Br 6.63 -4.04 2.62
C 6.21 -2.42 1.77
C 7.23 -1.55 1.40
N 7.00 -0.38 0.80
C 5.74 -0.05 0.54
C 4.66 -0.86 0.88
C 4.90 -2.07 1.51
C 3.28 -0.43 0.57
O 2.28 -1.15 0.87
O 3.06 0.69 0.00
H 8.26 -1.80 1.60
H 5.57 0.90 0.05
H 4.08 -2.72 1.78
C 0.10 5.01 -1.14
C 1.07 4.31 -1.85
C 1.35 2.99 -1.50
C 0.68 2.34 -0.47
C -0.28 3.08 0.23
C -0.57 4.40 -0.10
H -0.11 6.04 -1.40
H 1.61 4.79 -2.66
H 2.14 2.48 -2.05
H -0.83 2.63 1.06
H -1.32 4.95 0.46
```

~~~~~

[1]
ORCA calculation (ωB97M-V with the def2-TZVPD basis set) on a molecular structure, C50H44ClN10O2PRbS2 at a distorted geometry.

Results
spin multiplicity = 1
highest occupied orbital energy = -0.0934 Eh
energy relative to the best compared isomer or geometry (same formula, charge and spin) = 0.0 kJ/mol
total charge = -1
gap between HOMO and LUMO = 4.126 eV

Structure (XYZ):
```
111
Properties=species:S:1:pos:R:3:forces:R:3
Rb -0.953143 -0.849282 -1.004623 -0.665 0.336 0.434
O 1.556806 -1.812286 -2.483683 0.757 -0.495 0.055
C 0.509333 -1.761042 -3.183420 -0.054 1.002 -0.984
N -0.025373 -0.729665 -3.755021 -1.193 -1.614 -0.364
C 0.577998 0.484603 -3.889590 0.658 1.443 0.094
C 1.757928 0.626682 -4.627652 -0.244 -0.155 0.283
C 2.335042 1.862572 -4.837503 0.154 0.434 -0.212

-- Brief --
Your job: search the notes further above for the word "DFT" and restate each line that has it.

-- Response --
C31H28BrN5O2V, DFT ωB97M-V/def2-TZVPD